Monday, May 17, 2010


Vocabulary Unit 15 - test on Friday before Fun Day!
  1. absorb - to soak up or take; to keep the attention of
  2. amateur - someone who does something for pleasure and not for money; someone who does not have much experience
  3. channel - the deepest part of the river; a body of water that links two large ones;a long narrow groove; a band of radio waves ; a course of action / to make a long narrow groove; to direct or focus
  4. elegant - showing beauty , high quality, and good taste
  5. grace - ease and beauty of movement; a charming or pleasing quality; a short prayer before meals / to add beauty or honor to
  6. inspect - to look over closely
  7. lame - stiff, sore, or not able to move properly; weak, not satisfactory
  8. suspend - to hang in order to allow free movement; to stop for a time, interrupt; to bar from a position or privilege
  9. tiresome - annoyingly dull or exhausting; unexciting
  10. tranquil - free from trouble or disturbance, peaceful and quiet



Numbered List

Monday, May 10, 2010


We are finished with our reader, speller, and language arts books. We are going to use our Vocab book and follow what 4th grade does with vocab for the next two weeks. Hopefully, it will prepare them for next year.
The student will be responsible for spelling the word, knowing its definition, and filling in a sentence with the word.
We have reviewed the process in class, the test will be Friday, May 14th.
The words and their definitions are:
  1. advantage - something that puts someone in a better position.
  2. ambition - a strong desire for importance or success
  3. defiant - showing strong resistance; willing to challenge or confront
  4. fearsome - frightening or alarming
  5. imply - to suggest something without saying it directly
  6. merit - a quality that deserves praise / to be worthy of deserve
  7. negotiate - to discuss in order to arrive at an agreement
  8. purify - to make clean and free of dirt or pollutants
  9. revoke - to cancel by withdrawing or reversing
  10. wretched very unhappy or unfortunate, miserable, very poor in quality

Monday, May 3, 2010

It is a busy, busy, week.

Wednesday is the Spanish festival. Please help your child stay on task with his or her schoolwork. I know we only have a few days left. Sixteen if I am counting right. But we still have a lot to do and we will be busy until the end of school. We will work until our very last day.
The story for this week is "Elena's Serenade". The words are:
  1. cloth
  2. clothes
  3. nature
  4. natural
  5. able
  6. ability
  7. mean
  8. meant
  9. deal
  10. dealt
  11. please
  12. pleasant
  13. sign
  14. signal
  15. signature
  16. equal
  17. equation
  18. equator
  19. major
  20. majority

Have a great week!

Wednesday, April 28, 2010

Vocabulary test on Tuesday, May 3

  1. abundant- large or more than enough; plentiful
  2. barrier- something that blocks or bars movement or passage
  3. conceive- to start something; to think up or begin to understand
  4. formal- following strict rules or customs; requiring fancy clothing and fine manners
  5. inquire- to ask about
  6. penalize- to punish
  7. picturesque charming quaint
  8. predator - one that destroy or devours others; an animal that stalks and eats other animals
  9. privilege - a special right, benefit, or permission
  10. slumber- to sleep lightly; a sleep or light sleep

Monday, April 26, 2010

This week we are reading "Two Bad Ants". The words are difficult and the students will probably need a little extra practice. The words are:
  1. leadership
  2. gracefully
  3. refreshment
  4. uncomfortable
  5. overdoing
  6. remarkable
  7. carefully
  8. unbearably
  9. ownership
  10. unacceptable
  11. impossibly
  12. reappeared
  13. unprepared
  14. oncoming
  15. misbehaving
  16. outrageous
  17. incomprehensible
  18. undoubtedly
  19. independence
  20. disadvantage

Monday, April 19, 2010

Field trip Wednesday!

-- begin --
3 unconnected molecules or ions with the total composition C5H13NO2 in a non-equilibrium geometry. Source: OMol25; level of theory: the ωB97M-V functional and the def2-TZVPD basis.

Each line ends with the natural charge from an NBO analysis.
Positions of all 21 atoms, in Å:
C: 2.418 0.030 0.459  -0.519
N: 1.739 0.171 -0.808  -0.141
C: -2.146 0.533 -1.246  -0.705
C: -0.781 -0.022 -0.943  0.012
C: 0.529 0.783 -0.603  -0.204
C: -0.425 0.553 0.507  0.152
O: -0.265 -0.463 1.417  -0.676
H: 1.864 -0.622 1.145  0.281
H: 2.701 0.939 1.036  0.234
H: 3.416 -0.311 0.158  0.214
H: 3.705 -2.728 -0.836  -0.001
H: -2.714 0.679 -0.318  0.350
H: -2.745 -0.175 -1.819  0.236
H: -2.128 1.527 -1.743  0.228
H: 2.988 -2.723 -0.988  0.001
H: -0.501 -1.044 -1.175  0.254
H: 0.371 1.741 -1.111  0.326
H: -0.822 1.423 1.017  0.261
H: -1.223 -0.469 1.817  0.548
H: -3.262 0.062 2.414  0.444
O: -2.720 0.116 1.620  -1.293

DFT total energy = -403.2294 Ha
energy relative to the best compared isomer or geometry (same formula, charge and spin) = 911.6 kJ/mol
frontier orbital gap = 4.53 eV
charge = 0
LUMO = -0.123 Eh
highest occupied orbital energy = -7.867 eV



A molecular structure, C16H10Cl2F6N3O6S4Tb in a non-equilibrium geometry. Source: OMol25; level of theory: the ωB97M-V functional and the def2-TZVPD basis.

Each line ends with the Löwdin spin population.
Positions of all 48 atoms, in Å:
Tb: -0.266 -0.710 0.023  6.063
S: 4.369 -0.552 1.827  -0.002
C: 4.626 -1.582 0.449  -0.003
C: 3.451 -2.064 -0.005  -0.007
C: 2.201 -1.521 0.495  -0.048
C: 2.594 -0.744 1.565  -0.001
C: 1.629 -0.175 2.508  0.001
C: 1.849 0.830 3.477  0.000
C: 0.809 1.302 4.251  0.000
C: -0.390 0.575 4.237  0.001
C: -0.508 -0.460 3.325  0.001
N: 0.403 -0.755 2.384  -0.001
H: 5.585 -1.767 0.052  0.000
H: 3.323 -2.806 -0.802  0.000
H: 2.914 1.222 3.504  0.000
H: 1.011 2.144 4.928  0.000
H: -1.164 0.734 4.937  0.000
H: -1.252 -1.233 3.509  0.000
F: 1.206 3.699 1.189  0.000
C: -0.134 3.806 1.033  0.000
F: -0.705 3.923 2.284  0.000
F: -0.414 4.911 0.324  0.000
S: -0.658 2.169 0.157  0.002
O: 0.612 1.497 -0.144  0.000
O: -1.349 1.338 1.154  -0.004
N: -1.489 2.650 -1.030  0.000
S: -2.384 1.672 -1.935  0.001
O: -1.849 0.301 -1.838  0.003
O: -3.798 1.857 -1.729  0.000
C: -2.047 2.239 -3.807  0.000
F: -2.292 3.556 -3.895  0.000
F: -0.789 1.942 -4.126  0.000
F: -2.862 1.530 -4.604  0.000
S: 0.346 -1.429 -4.664  0.000
C: 1.648 -0.431 -4.082  0.000
C: 1.684 -0.466 -2.739  0.000
N: 0.729 -1.282 -2.120  -0.002
C: -0.005 -1.908 -3.058  0.000
H: 2.265 0.189 -4.728  0.000
H: 2.447 -0.035 -2.096  0.000
H: -0.633 -2.792 -2.891  0.000
Cl: -3.821 -3.974 -1.205  0.000
C: -3.431 -3.334 0.394  0.000
Cl: -3.342 -4.622 1.630  0.000
C: -2.244 -2.477 0.409  0.002
O: -1.244 -2.784 -0.317  -0.005
O: -2.309 -1.414 1.082  -0.002
H: -4.324 -2.770 0.688  0.000

multiplicity = 7
DFT total energy = -5168.1926 Ha
frontier orbital gap (alpha / beta) = 7.30 / 7.87 eV
charge = 0
LUMO (alpha / beta) = -0.022 / -0.002 Eh
-- stop --

Don't forget our field trip to the airport is Wednesday. Please help your children remember that is it a place of business and the airport is a very serious place. The tour will be stopped for misbehavior. I am sure we will do fine, but preparing won't hurt.
Our class will be the prayer leaders on Friday at Mass. Please try to attend.
Spelling words for the week are:
  1. question
  2. creature
  3. furniture
  4. division
  5. collision
  6. action
  7. direction
  8. culture
  9. vacation
  10. mansion
  11. fiction
  12. feature
  13. sculpture
  14. vision
  15. celebration
  16. fascination
  17. legislature
  18. manufacture
  19. possession
  20. declaration

Monday, April 12, 2010

Busy, Busy, week!

Tuesday- PTO Meeting, bookfair and Art show - 7:00
Thursday is the Psalty play. I can't wait to see what the book is up to now.
Next week is our field trip to the Airport and mass.
The spelling words for Happy Birthday, Mr. Kang are:
  1. above
  2. another
  3. upon
  4. animal
  5. paper
  6. open
  7. family
  8. travel
  9. afraid
  10. nickel
  11. sugar
  12. circus
  13. item
  14. gallon
  15. melon
  16. character
  17. cardinal
  18. Oregon
  19. particular
  20. dinosaur

Thursday, April 8, 2010


  1. admirable - deserving of praise.
  2. automatic - done without thought or will; done by machine, not by a human
  3. devotion - loyalty and affection
  4. distant - far away; not friendly
  5. dreary gloomy or dismal; without cheer, comfort, or enthusiasm
  6. exhaust- to use up; to wear out; - the escape of gas from an engine
  7. kindle - to get a fire going; to stir up or to start something
  8. predict - to guess what is going to happen
  9. separation - the act or condition of being apart
  10. stunt - to stop or slow down the growth of

Monday, April 5, 2010

Spelling words for "The Story of the Statue of Liberty"

  1. few
  2. school
  3. true
  4. goose
  5. fruit
  6. cookie
  7. cushion
  8. noodle
  9. bookmark
  10. balloon
  11. suit
  12. chew
  13. glue
  14. Tuesday
  15. bushel
  16. bamboo
  17. mildew
  18. soothe
  19. barefoot
  20. renewal

Wednesday, March 31, 2010


1. arch - a curved structure that serves as an opening and as a support. to form a curve. main, playful, mischievous.
2. authentic - being the real thing; worthy of belief, true.
3. clarity- to say clearly or make easier to understand.
4. declare- to state strongly; to make a formal or informal statement.
5. grant - to permit or allow; to admit that something is true.
6. grave - a hole in the ground where something is buried. Very important and requiring much attention; serious.
7. modest - not thinking to highly of oneself, not boastful; proper in speech, dress, or behavior, not extreme or large.
8. opponent - someone who is set against another, as in a contest, game, arguments or fight.
9. valid - supported by facts or evidence, true.
10. yearn - to long for.

Tuesday, March 30, 2010


Tulsa fair grounds barns
Listen and learn
Learning how milk becomes cheese
Candid shot
What pretty girls! Listening to the facts about cotton.
The milking station
What a great day!

Monday, March 29, 2010


The story for the week is "Me and Uncle Romie". The spelling words contain the suffixes: -y, -ish, -hood, and -ment. The words are:

  1. rocky
  2. foolish
  3. rainy
  4. childhood
  5. selfish
  6. treatment
  7. movement
  8. neighborhood
  9. childish
  10. parenthood
  11. crunchy
  12. bumpy
  13. payment
  14. sleepy
  15. shipment
  16. assignment
  17. livelihood
  18. stylish
  19. environment
  20. guilty

Friday, March 26, 2010

Vocabulary unit 10

  1. audible- capable of being heard
  2. consume- to eat or drink, especially in large amounts; to use up; to destroy
  3. glide- to move smoothly and easily
  4. origin- the cause or beginning
  5. prevent- to stop from happening
  6. punctuate- to mark printed or written materials with periods, commas, and other sign; to interrupt from time to time; to give importance to
  7. representative- a typical example; someone who acts for another
  8. scorn- a feeling that something or someone is worthless or inferior; an expression of that feeling.
  9. stout- large and heavy in build; physically strong and sturdy;having courage or determination
  10. woe- great sorrow or suffering


Monday, March 22, 2010

I hope you had a great Spring Break. Hopefully, the snow is done for the year!

The spelling words for "Jalapeno Bagels" contain the vowel sound found in the word ball. The words are:

Wednesday, March 10, 2010

spelling words - " Goodbye 382, Ding, Dang, Dong"

Words for this week are:
small, almost, always, because, straw, drawn, also, author, false, already, flaw, sausage, applause, walnut, lawn, awesome, altogether, awning, faucet, and laundry.
Due to the field trip on Friday, we will have our test on Thursday.

Have a great Spring Break!

Wednesday, March 3, 2010

Unit 9 Vocabulary

-- Next to the text, the page also holds calculated molecules --
/*
Record 1
Formula: C39H37BiBr4N5O9Se2Te
Source: the Open Molecules 2025 dataset
Level of theory: the ωB97M-V functional and the def2-TZVPD basis

Calculated values
<S²>: 0.7612
Electronic energy in a.u.: -18040.76030
F_max in hartree/bohr: 0.0155

Geometry as ORCA input:
```
! RIJCOSX wB97M-V def2-TZVPD def2/J DEFGRID3
* xyz -2 2
Bi -0.048 0.221 -1.480
Br 2.098 -5.367 -4.970
C 1.412 -3.828 -4.066
C 0.351 -4.028 -3.136
C -0.105 -2.905 -2.521
N 0.350 -1.662 -2.748
C 1.472 -1.425 -3.589
C 1.934 -2.630 -4.339
C 1.070 -0.248 -4.494
C 1.394 -0.160 -5.833
C 0.913 0.928 -6.536
Br 1.283 1.070 -8.396
C 0.158 1.899 -5.915
C -0.093 1.735 -4.564
N 0.325 0.676 -3.889
H -0.062 -5.001 -2.932
H -0.938 -2.959 -1.828
H 2.781 -2.515 -5.000
H 1.984 -0.926 -6.310
H -0.220 2.761 -6.440
H -0.676 2.464 -4.015
Br -0.142 3.185 1.314
C 1.795 3.150 1.280
Br 2.503 1.407 0.991
H 2.121 3.501 2.251
H 2.121 3.784 0.464
Se -3.585 3.232 -3.192
C -2.872 1.645 -2.452
N -1.708 1.794 -2.052
C -4.354 -1.521 -1.565
C -3.159 -0.619 -1.730
O -3.633 0.522 -2.432
N -2.027 -0.842 -1.291
Te -0.907 -2.232 1.095
C -0.548 -3.556 2.715
C 0.474 -4.504 2.558
C 1.351 -4.547 1.333
C 0.689 -5.443 3.564
C -0.080 -5.466 4.717
C 0.154 -6.493 5.793
C -1.098 -4.532 4.840
C -1.358 -3.582 3.856
C -2.510 -2.640 4.070
C -0.813 -0.544 2.393
C 0.337 -0.343 3.168
C 1.569 -1.196 3.061
C 0.351 0.715 4.074
C -0.722 1.580 4.222
C -0.690 2.696 5.230
C -1.828 1.386 3.411
C -1.889 0.348 2.488
C -3.123 0.257 1.630
H -4.877 -1.650 -2.512
H -5.055 -1.068 -0.862
H -4.021 -2.482 -1.180
H 0.831 -5.005 0.487
H 2.250 -5.135 1.521
H 1.655 -3.553 0.998
H 1.488 -6.167 3.442
H 1.050 -7.078 5.587
H -0.688 -7.186 5.867
H 0.275 -6.023 6.770
H -1.723 -4.541 5.728
H -3.233 -3.085 4.755
H -3.012 -2.411 3.129
H -2.177 -1.690 4.493
H 1.801 -1.432 2.020
H 1.446 -2.137 3.600
H 2.420 -0.663 3.484
H 1.247 0.873 4.666
H 0.335 2.956 5.495
H -1.206 2.409 6.149
H -1.181 3.588 4.840
H -2.664 2.075 3.475
H -4.000 0.577 2.195
H -3.286 -0.755 1.256
H -3.035 0.911 0.758
O 4.583 -0.617 -1.176
Se 3.260 -1.517 -1.372
O 2.575 -0.796 -2.865
O 2.072 -1.191 -0.288
O 3.480 -3.093 -1.656
O 2.275 3.065 -3.736
C 1.704 3.285 -2.664
O 1.347 2.484 -1.762
C 1.375 4.739 -2.347
C 2.382 5.702 -2.363
C 2.115 7.010 -2.000
C 0.818 7.339 -1.645
C -0.215 6.416 -1.660
C 0.074 5.109 -2.013
N 0.533 8.719 -1.223
O -0.607 9.000 -0.904
O 1.455 9.518 -1.215
H 3.377 5.408 -2.670
H 2.882 7.770 -1.994
H -1.214 6.718 -1.383
H -0.712 4.363 -2.027
*
```

natural (NBO) population analysis, charges in e, atoms 1 to 6: Bi 2.050; Br -0.008; C -0.014; C -0.445; C 0.104; N -0.788

Record 2
Formula: C21H39BClN4O11
Source: the Open Molecules 2025 dataset
Level of theory: the ωB97M-V functional and the def2-TZVPD basis

Calculated values
Electronic energy in a.u.: -2355.10746
F_max in hartree/bohr: 0.0515

Geometry as ORCA input:
```
! RIJCOSX wB97M-V def2-TZVPD def2/J DEFGRID3
* xyz 1 1
C 0.354 -4.662 0.272
C -0.319 -3.256 0.127
C -1.000 -3.225 -1.274
C -2.090 -2.141 -1.438
N -1.596 -0.860 -1.970
*/

1. approach- to come close to; to begin to deal with ; to make a request
2. approve- to have a high opinion of; to give permission
3. glory- great honor or praise given by others; great beauty
4. magnificent- very grand and fine; remarkably beautiful or outstanding
5. meek- not courageous or strong
6. prompt on time; done quickly and without delay
7. revive- to bring or come back to life
8. tradition- a custom, belief, or idea that has been passed down over time
9. watchful- always noticing what is happening, aware
10. wreckage- what is left of something that is destroyed


message from teacherease

This Thursday, March 4, the Tulsa Historical Society will be presenting to the third grades. The presentation will take place in our classrooms. The Program is titled: Prairie Grove School 1898. If your child would like to dress in period clothing (Little HOuse on the Pairie) Thursday, they may. It is not a free dress, only dressing to fit the time period of the presentation is permitted. Please keep in mind they do have PE later that day.
Thank you Karey

Monday, March 1, 2010

Well it seems like Spring may actually be on its way. Hooray! Hooray! Please remember we will be going outside and students may need to bring a jacket with them to school.

The story for this week is "My Family in America" the words are homophones. The words are: to, too, two, week, weak, our, hour, stair, stare, flour, flower, write, right, new, knew, their, there, they're, weather and whether.

Have a great week!

Thursday, February 25, 2010


The story for this week is "Suki's Kimono". The words are: create, medium, piano, idea, radio, video, studio, violin, duo, patio, rodeo, pioneer, trio, stadium, audio, audience, radiate, cereal, Creole, and recreation.
We have also restarted Vocabulary. We are on unit 8.
The words and definitions are:
actual- happening in fact or reality.
brink- the edge; especially of a high, steep place.
chill- an unpleasant feeling of coldness.
conquer- to defeat or take over; master or overcome.
fortunate- having or bringing good luck, lucky.
fury- strong anger, rage.
intend- to plan to do something; to have a goal or purpose.
pattern- the way that shapes and colors are put together; a model or guide for making something; a design that is repeated.
vibrant- full of life, energy, or activity.
wit- the talent to describe things or people in a funny or unusual way; the ability to think clearly; a clever or amusing person.

The vocabulary test will be on Tuesday, March 2.

Wednesday, February 17, 2010

Fly Eagle Fly

This week's story is Fly Eagle Fly, the words contain the vcccv pattern. The words are: monster, surprise, hundred, complete, control, sample, instant, inspect, pilgrim, contrast, explode, district, address, substance, children, merchant, embrace, purchase, curtsy, and contract.

Monday, February 1, 2010


Wow, it is going to be a fun filled week, don't forget all the activities for Catholic Schools Week. Tuesday will be wacky wear and Wednesday will be camo or red, white and blue. I can't wait to wear my camo pants!!!!!
Next week will be Iowa testing. We will not do a reading /spelling unit. Hopefully we will get finished in one week. This is my first year with third grade so we will have to play it by ear to see how long it takes.
The story this week is Gertrude Ederle, all the words contain suffixes. The words are: dentist, editor, artist, hostess, actress, swimmer, seller, tutor, tourist, organist, lioness, shipper, chemist, investor, conductor, announcer, pharmacist, journalist, commuter, and pianist.
Make it a great week!

Monday, January 25, 2010

I am sorry for not blogging last week. I actually thought I did, but apparently, I didn't.
The good news is the students did well on their spelling tests without it. Mrs. Randolph enjoyed being with the class, she had very complimentary things to say. I knew they were great kids, but it is always nice to hear it from someone else.
The story for the week is "Rocks in His Head". All the words contain prefixes. The words are:
prepaid, midnight, overflow, outdoors, outline, overgrown, prefix, Midwest, pretest, midpoint, outgoing, overtime, overdue, outside, outfield, precaution, prediction, midsection, overweight, and prehistoric.
Thank you all for you kind email about Mitch and his surgery. He is doing well and well on the road to recovery. Which is good news for me. I am glad to be a teacher, I would make a terrible nurse.

Monday, January 11, 2010

It seems we may actually thaw out. The students have been great about being inside. But I am sure they would love to be able to get some fresh air.
The story for this week is: "Wings" the words all are considered irregular plurals. The words are: wolves, knives, feet, men, children, women, sheep, heroes, scarves, mice, geese, cuffs, elves, banjos, halves, loaves, beliefs, tomatoes, potatoes, and tornadoes.
FYI- We will have a Math test either Friday or Monday over chapter 9.

Monday, January 4, 2010

[Someone pasted molecular data at this point]
- - -
This record from the OMol25 dataset describes a structure of composition C26H17CoN2PS2Se. The level of theory is the ωB97M-V functional and the def2-TZVPD basis.

The geometry in XYZ format:
```
50
Properties=species:S:1:pos:R:3:forces:R:3
Co 0.516 0.104 1.794 -0.472 -0.802 0.375
S -1.829 -0.045 1.863 -0.102 -0.094 0.013
C -2.021 -1.490 2.812 -0.053 -0.100 0.025
C -3.275 -1.789 3.362 0.087 0.034 -0.052
C -3.520 -2.940 4.102 -0.280 0.056 0.019
C -4.843 -3.189 4.614 0.300 0.023 -0.082
N -5.906 -3.383 5.013 -0.037 0.012 0.007
C -2.468 -3.846 4.318 -0.084 -0.228 0.199
C -1.218 -3.563 3.790 0.132 -0.009 -0.036
C -0.949 -2.410 3.038 -0.085 0.013 -0.020
S 0.646 -2.167 2.402 -0.027 -0.020 -0.047
C -2.673 -5.051 5.080 0.043 0.233 -0.204
N -2.829 -6.023 5.678 0.013 -0.018 0.027
H -4.085 -1.089 3.199 0.000 -0.004 -0.015
H -0.408 -4.261 3.962 -0.004 0.021 -0.007
C 0.538 -2.453 -3.884 -0.009 0.021 0.025
C 1.596 -1.558 -3.886 0.026 0.062 0.049
C 1.717 -0.610 -2.873 -0.027 0.014 -0.088
C 0.778 -0.549 -1.848 -0.061 -0.116 0.114
C -0.273 -1.469 -1.844 -0.073 -0.070 0.058
C -0.400 -2.406 -2.858 0.035 0.036 0.006
P 0.842 0.609 -0.422 0.302 0.562 -0.418
C 2.416 1.496 -0.739 -0.010 -0.053 -0.039
C 2.499 2.717 -1.397 0.054 -0.012 -0.086
C 3.730 3.342 -1.574 -0.062 -0.032 -0.002
C 4.889 2.743 -1.106 0.002 -0.034 0.031
C 4.814 1.518 -0.451 -0.038 0.025 -0.018
C 3.586 0.907 -0.257 0.002 0.014 0.024
C -0.415 1.857 -0.929 -0.032 -0.021 0.045
C -1.071 1.855 -2.157 0.036 0.031 -0.062
C -2.045 2.806 -2.442 0.034 -0.011 0.026
C -2.371 3.772 -1.501 0.025 -0.027 0.034
C -1.716 3.783 -0.275 0.016 -0.039 -0.050
C -0.750 2.830 0.015 -0.007 0.041 0.070
H 0.449 -3.192 -4.672 -0.005 0.002 0.005
H 2.336 -1.594 -4.677 0.006 0.004 0.003
H 2.543 0.090 -2.884 0.014 -0.010 -0.009
H -0.986 -1.448 -1.023 0.021 -0.009 -0.012
H -1.220 -3.113 -2.839 -0.014 0.002 0.018
H 1.597 3.191 -1.762 0.007 0.020 0.008
H 3.780 4.305 -2.071 -0.015 -0.012 0.005
H 5.846 3.237 -1.230 -0.020 -0.019 -0.007
H 5.711 1.059 -0.054 -0.012 -0.006 -0.003
H 3.519 -0.016 0.307 0.001 0.027 0.017
H -0.823 1.110 -2.903 -0.017 -0.009 0.020
H -2.553 2.786 -3.400 0.006 -0.008 0.005
H -3.142 4.504 -1.717 0.029 -0.004 0.006
H -1.970 4.525 0.473 0.001 -0.006 0.001
H -0.247 2.821 0.984 -0.021 -0.017 -0.054
Se 1.657 1.688 2.870 0.375 0.538 0.073
```
Positions in Å, forces in eV/Å.

Its energy is -164153.726 eV. The net charge is -2. Its expectation value of S² is 3.785. For the orbital gap (alpha / beta), the calculation gives 4.839 / 4.865 eV. The value obtained for the HOMO energy (alpha / beta) is -0.0192 / -0.0203 Ha. The spin multiplicity is 4. As for the strongest force on any atom: 1.003 eV/Å.

Atom charges from the Löwdin analysis, given in e for atoms 1 to 2: atom 1 (Co): -0.55, atom 2 (S): 0.55

This record from the OMol25 dataset describes a cluster of 2 separate species, C16H11BF11NO6 in total. The level of theory is the ωB97M-V functional and the def2-TZVPD basis.

The geometry in XYZ format:
```
46
- - -

WELCOME TO 2010!!!!

I hope you had a beautiful Christmas and enjoyed your time in the snow. Being a Tulsan for most of my life, this is the first real white Christmas I remember. What a treat.
The story for this week is "Volcanoes" and the words contain silent letters. The words are:
thumb, gnaw, written, know, climb, design, wrist, crumb, assign, wrench, knot, wrinkle, lamb, knob, knit, wrestler, bologna, cologne, honeycomb, and knickknack.
The collage for Charlotte's Web is due on Tuesday, January 12. Watch for the complete assignment to come home soon.